Wednesday, December 18, 2013

What do you feed your poultry and pigs?

Chickens and pigs can forage on pasture for a great deal of their food, but do require supplemental feed to meet their nutritional requirements.  A rule of thumb is that they can get about 10-30% of their nutrition from forage.  You might ask, how do they survive in the wild?  Part of the answer to that is that they are not confined and can move to "richer ground" seasonally and as they need to.   But in a normal homestead situation, poultry and pigs will need supplemental feed.

You can reduce the amount of store-bought feed by growing some feed sources and creative scrounging from local farms.  Growing grains seems obvious, but consider growing crops such as turnips, mangel beets, winter squash, pumpkins, carrots, and sweet potatoes, too.  Dairy products are a good supplement for both pigs and poultry, and dairies or small producers might let you have some of their un-salable product.  Other sources include spent grains from a local brewery, or vegetable waste from local canneries.  A member in SC asks neighbors if he can rake acorns in their woods and comes home with his truck bed full.  Another farmer has a deal with a couple farms who raise sweet potatoes to turn his pigs into their fields after the harvest.  They glean the remaining roots and eat the plants.  The same can be done in orchards after the harvest, this works great for both pigs and poultry. And what about raising earthworms to feed your pigs and poultry, or sources for meat scraps?  Poultry and pigs are omnivores, and will appreciate these high protein feeds.
Giant Yellow Mangel Beet - 50+ Seeds Chickens Love Them!
Mangel Beets.  Photo from Seed Savers Exchange.

Many heritage breeds are active foragers, especially if they have been selected to do well on pasture.  Among the chicken breeds, some are more active than others.  The Mediterranean breeds are typically good foragers with high egg production but are lightweight birds (though I've eaten many a Leghorn cockerel).  Among the dual purpose birds, most are good foragers, such as Dorking, Java, Buckeye, Dominique, Holland, Chantecler, & Crevecoeur.   Waterfowl are good grazers too, and some ducks rival chickens in egg production. 

What creative sources have you found to feed your pigs and poultry?  have you found any good books or websites that compare different feeds?

Wednesday, December 11, 2013

Finding Rare Breeds

The most commonly asked question about heritage breeds is, “Where do I find them?”  Heritage breeds can be hard to find, especially finding the breed you want near you.  That’s the thing about endangered breeds – they are rare! 

Top 5 ways to find heritage breeds

_Unrelated to this page: records of molecules_
/*
Formula: H40O20
Source: the OMol25 dataset
Level of theory: ωB97M-V/def2-TZVPD

Structure (XYZ):
```
60
Properties=species:S:1:pos:R:3:nbo_charge:R:1
H 1.90161 4.38729 3.78346 0.48
H -2.69503 -1.46998 -4.86611 0.48
H -2.66688 2.01838 -1.70311 0.50
O 2.40199 -3.01500 0.39995 -0.96
O -2.19635 1.18488 -1.69285 -0.99
H -3.72948 -0.70592 0.91390 0.47
H 2.85704 1.35631 0.69076 0.50
H -3.27923 1.68056 -5.31453 0.48
O 4.67269 -0.73355 1.05116 -0.98
O -0.38414 -2.78258 -0.23977 -1.00
H 2.12436 -0.17011 -4.60721 0.47
H 0.67887 3.76505 3.14344 0.48
H 4.81275 2.41639 -2.74144 0.47
H -1.09829 -3.15929 -0.75388 0.48
O 0.52457 -1.40393 2.29315 -0.98
H 2.52517 1.89330 2.74301 0.49
H -3.66655 -2.20998 -2.60810 0.48
O 3.10165 2.36497 2.14181 -0.98
O 4.50482 1.61936 -2.30998 -0.95
H 2.75161 3.25567 2.12287 0.49
H 4.47182 -1.66930 1.03539 0.47
H 0.11375 -1.44555 1.42960 0.49
H 0.13839 -2.13330 2.77803 0.49
H -0.31708 -1.87893 -0.54824 0.51
H 2.31790 -2.88392 1.34440 0.47
H -2.03936 -2.81806 -5.07747 0.46
O 3.00388 -0.15827 -4.98475 -0.94
O -0.93268 -4.69958 1.59463 -0.96
H 2.98241 0.55671 -5.62081 0.46
H -1.27919 3.74909 3.44610 0.49
O -1.99019 -1.90151 -5.34903 -0.95
H -4.04979 0.52678 -4.70879 0.47
H 0.92724 -0.28030 4.56918 0.48
H 3.33065 1.38875 -0.74679 0.51
H -0.47048 0.31162 -0.92573 0.50
H -0.88198 -5.46595 1.02337 0.46
H -4.75262 -1.64166 -3.49657 0.48
H 0.91953 0.27902 2.93323 0.50
O 1.15853 -0.88817 5.27149 -0.97
H -2.60681 0.66901 -2.38685 0.50
O -3.83110 -1.53104 -3.26248 -0.96
H -0.08277 1.38556 3.18396 0.50
O 1.36145 4.41923 2.99388 -0.95
H -0.67771 -3.96594 1.03517 0.48
O -3.09149 -0.10007 1.29092 -0.93
O 2.84906 0.84833 -0.12049 -1.01
H -4.23445 1.06594 0.65503 0.47
H 1.53331 -2.81439 0.05154 0.48
H -5.42407 1.72869 1.31645 0.46
H 3.90201 -0.31614 0.66639 0.49
H 0.94257 0.25610 -0.38527 0.53
H 2.07258 -1.11539 5.10088 0.46
O 0.10240 -0.20159 -0.35594 -1.02
H -2.12170 2.50125 3.28811 0.49
O -3.64046 1.36311 -4.48690 -0.94
H 4.99249 0.91321 -2.73396 0.49
O -1.22946 2.83079 3.18062 -0.97
O 0.77280 1.06122 3.46509 -1.00
O -4.92232 1.71361 0.50143 -0.97
H -2.45839 0.04938 0.58873 0.49
```

The maximum force comes out at 1.34 eV/A. The value obtained for the lowest unoccupied orbital energy is -0.032 Eh. The HOMO energy comes out at -9.790 eV.

***

Formula: H42O21
Source: the OMol25 dataset
Level of theory: ωB97M-V/def2-TZVPD

Structure (XYZ):
```
63
Properties=species:S:1:pos:R:3:nbo_charge:R:1
H -0.42708 1.59433 4.40130 0.47
H -0.51135 2.97664 -3.66699 0.44
H 1.26032 -1.10361 -3.15654 0.47
H 2.13246 0.59917 1.74735 0.47
H -3.01608 0.16942 -2.88454 0.50
O 0.44994 1.00062 -2.75867 -0.92
O 2.69174 0.93021 2.45228 -1.00
O -2.04205 -2.54358 1.23622 -1.02
H 0.43870 -1.26854 3.18780 0.52
H -0.27663 1.47850 -3.16753 0.43
O -1.20735 3.58891 -3.96493 -0.94
H 0.02392 2.94173 3.66801 0.49
H 4.29167 -1.10580 -1.64396 0.49
O 1.20747 -0.05651 -0.04315 -1.04
H 0.99881 1.67464 -2.35531 0.46
H -0.37522 -0.04361 1.06798 0.49
H 2.05603 0.73986 3.18682 0.48
*/

Buff Orpington
1.     The Livestock Conservancy’s online Breeders Directory.
Livestock Conservancy members are some of the most passionate about conserving their breeds, so they may be aligned with your breeding objectives.

2.    The Livestock Conservancy’s online Classifieds.

3.    Breed Associations. Finding a breeder through the Breed Association is a great way to find knowledgeable and dedicated breeders. And if you’re just starting out, this is also a great place to find a mentor.

4.    Networking with local farmers. Raising the same heritage breeds as others in your area can create a strong community of breeders, raising the effective “herd” size in the region. Some breeder groups have even banded together to leverage volume buying discounts or co-marketing to larger customers.  Start asking around to find out who is raising heritage breeds in your area.

5.    Heritage poultry. Many serious poultry breeders are members of the Society for Preservation of Poultry Antiquities (SPPA). Their breeders directory is a great place to find unusual and rare breeds of poultry.

Monday, December 2, 2013

What makes a Colonial Spanish horse?

In October we spent a few days in Oklahoma checking in on some Choctaw horses, and progress toward our new Choctaw hog project. The horses greeted us at the cabin door of our gracious host Jim Stephens. On a roadtrip to nearby ridgelands, Bryant Rickman, who is a walking encyclopedia of knowledge of Choctaw horses, introduced us to several free ranging bands. Jeannette got more great pictures, despite steady rain. Choctaw horses are both culturally and genetically significant (see Looking Back and Looking Forward With Choctaw Horses, Winter 2013 Livestock Conservancy Newsletter).  
Alison with Lightnin'
This brief visit gave me another opportunity to "train my eye" on horses, an important job skill for telling breeds apart, and most especially, telling the influence of cross breeding.  With a landrace breed like Colonial Spanish horses, the breed standard is "descriptive" rather than "prescriptive", and the variation between the different strains of Colonial Spanish horses is important to being adapted to the local region.  Nevertheless, all the strains have a number of characteristics in common that make them distinctly Spanish in origin.

Below is a partial reprint of the Colonial Spanish Horse Score Sheet (or breed standard, if you like).  The entire sheet can be found in "Managing Breeds For a Secure Future", by Drs. Phil Sponenberg and Don Bixby, or write the Conservancy to obtain a copy.  

Colonial Spanish Horse score sheet developed by D. P. Sponenberg and Chuck Reed. Horses are scored on various aspects of conformation and type. The final result is not a simple average of scores, but rather a close look at the number of not typical (high) versus typical (low) scores. The head character weighs in heavily in the final determination, especially if the body scores well. Put another way, a high-scoring body with a low-scoring head is still rejected because these horses are unlikely to be Colonial Spanish.  NOTE:  This is a partial reprint, showing only the characteristics for the head.

most typical – score 1
not typical - score 5
1. concave/flat on forehead and then convex from top of nasal area to top of upper lip (subconvex)
2. uniformly slightly convex from poll to muzzle
3. straight
1. dished as in Arabian.
2. markedly convex.
Wide between eyes (cranial portion) but tapering and “chiseled” in nasal/facial portion. This is a very important indicator, and width between eyes with sculpted taper to fine muzzle is very typical.
Wide and fleshy throughout head from cranial portion to muzzle.
Small, thin, and crescent-shaped. Flare larger when excited or exerting.
Large, round, and open at rest.
Small to medium length, with distinctive notch or inward point at tips
Long, straight, with no inward point at tip. Thick, wide, or boxy.
Vary from large to small (pig eyes). Usually fairly high on head
Large and bold, low on head.
Refined, usually with the top lip longer than the bottom lip
coarse and thick with lower lip loose, large, and projecting beyond upper lip.
Fine taper down face to nostrils, slight outward flare, and then inward delicate curve to small, fine muzzle that is narrower than region between nostrils.
Coarse and rounded, or heavy and somewhat square as the Quarter Horses, rather than having the tapering curves of the typical muzzle.

Other characteristics on the complete score sheet include appearance of the neck, height, withers, back, croup, tail set, shoulder, chest, chestnuts, color, hind legs, rear, hip, front cannon bones, and overall muscling.  

Train your own eye by looking at these characteristics for animals you know to be of different breeds.  It works for other species too.  If you raise goats, pigs, sheep or cattle, what are the characteristics that distinguish your breed from other breeds?  How well trained is your eye?


Monday, November 25, 2013

Heritage Turkey Domestication

Happy Thanksgiving everyone!    If you're thinking of raising turkeys next year, now is the time to check with breeders and reserve hatching eggs or poults.  There are a variety of colors to choose from, so you can go traditional or play with the Crayola box.  Check out The Livestock Conservancy's online breeders directory and classifieds, or join the Conservancy for a complete print version of the Breeders Directory (products too!).  Here's a piece on domestic turkey origins.
Black Turkey Foraging.  Turkeys are a big help
getting rid of unwanted bugs in the yard.

The ancestor of the domestic turkey is the North American wild turkey.  Like other domestic livestock, wild turkeys were suited for domestication by their tolerance for living in close proximity with humans,  flexible diet, and long reproductive season.  Wild turkeys from Mexico (Meleagris gallopavo subspecies gallopavo) were domesticated by the precontact native cultures before 180AD.  These turkeys were transported in the 1500’s to Europe and several varieties were developed.   European varieties returned to North America in the 17th and 18th centuries with settlers, and from them our current domestic varieties were developed.  The Mexican progenitor of the domestic turkey and many of the early European varieties are extinct. 

Turkeys were common on farms in colonial America for domestic use and were transported by ship to many markets.  On early farmsteads some breeders crossed domestic turkeys with wild turkeys, probably the Eastern Wild Turkey (Meleagris gallopavo silvestris).  Recent DNA studies, however, show minimal contribution of wild turkeys to the domestic turkey genome, so the hybrids were probably crossed back to the domestic varieties for improved temperament and productivity. 

Specialized varieties of turkeys were developed by selecting for local adaptation, color, growth, and temperament, and these varieties were named for the region where they were developed and their color.  Eight varieties of American turkeys are recognized by the American Poultry Association (APA), Black, Bourbon Red, Standard Bronze, Narragansett, Royal Palm, Slate, White Holland, and Beltsville Small White.  Two additional varieties developed in the mid to late 20th century are now used widely in commercial production, the Broad Breasted White and the Broad Breasted Bronze.  Of the eight APA recognized varieties, five were well established by the 1870s when standards were created – these are the Black, Bronze, Narragansett, Slate, and White Holland.  Documented history indicates that these varieties likely originated in the 1700’s. 

The domestic turkey is a single breed with the different varieties defined primarily by plumage color and conformation.  DNA studies comparing 5 heritage varieties (Narragansett, Black, Bourbon Red, Royal Palm, and Slate) found them to be very closely related to each other and to the more populous broad breasted white (commercial turkey), consistent with their documented history and their treatment as a single breed. 

Heritage turkey numbers declined rapidly after development of the Broad Breasted White.  A census by The Livestock Conservancy in 1997 found only 1330 breeding birds of all varieties combined.  Through promotion efforts and growing interest in locally produced food, these numbers have increased and most varieties are out of immediate danger of extinction.  Additional growth in breeding populations are needed, however, to ensure the future of these historic turkey varieties. 

The domestic turkey is a breed composed of numerous varieties which have a long documented history in the United States and are distinct from their wild cousins.  The varieties were standardized beginning in 1874, and DNA evidence shows that all are closely related. 

Kamara, D., K. B. Gyenai, T. Geng, H. Hammade, and E. J. Smith, 2007.  Microsatellite Marker- Based Genetic Analysis of Relatedness Between Commercial and Heritage Turkeys (Meleagris gallopavo).  Poultry Science 86:46-49.

Powell, R.E. 1990.  Turkey Husbandry in Virginia and the Chesapeake Regions 1750-1830.  Colonial Williamsburg Research Report 327. 

Schorger, A. W. 1966.  The Wild Turkey:  Its History and Domestication.  University of Oklahoma Press.

Speller, C.F., B. M. Kemp, S. D. Wyatt, C. Monroe, W. D. Lipe, U. M. Arndt, and D. Y. Yang, 2010.  Ancient Mitochondrial DNA Analysis Reveals Complexity of Indigenous North American Turkey Domestication. Proceedings of the National Academy of Science 107: 2807-2812.